Wednesday, March 27, 2013

The Jesus Stomp - Le Donne

I'm not exactly sure why this is news, but it is.  Do we really need a remake of Dead Poet's Society? I hope not. Free speech is offensive speech. If it's not offensive to somebody, it's just called "speech".

Let's be honest:

1) Many Christian students experience overt hostility on many university campuses.  This isn't just an insecurity issue, there are professors who will take every opportunity to make religious folk feel stupid or responsible for the world's problems.  I sat in my fair share of these classes as a student.  This is not to say that other demographics don't also experience hostility; just to say that Christians are often targeted.

2) Many Christians are a bit Forrest Gumpy and feel deeply insecure about it.  So sometimes my co-religionists anticipate and perceive persecution where none is intended.  This can lead to vocal "defenders of the faith" who annoy the hell out of university professors.

3) Stomping on Jesus is kind of lame, but okay.  Couldn't get a burn permit?  Many professors feel that they need to deconstruct ideologies to build new paradigms.  Some professors try a bit too hard to be iconoclasts.  What amuses me is the obviously ironic message that the Jesus stomp conveys.  If anything, it demonstrates how relevant Jesus still is in America.  Nobody is stomping on images of Richard Nixon anymore and his era was like two minutes ago.  Believe me, my weblog dedicated to historical Nixon research was a total failure.



  1. My original concern was that the student had been suspended for refusing to "stomp on Jesus." That, I think, would have been a violation of his right to free speech. The university denies that he was suspended. I hope they're telling the truth.

    But it is interesting that the textbook specifically called for using the name "Jesus," instead of say, one's mother's. And yes, I think this indicates hostility to Christianity and to Christians. It also indicates cowardice. We know that Jesus turns the other cheek, so he's safe to hit. Of course, in this country there are still enough Christians who hit back, so that it is not completely safe...yet.

  2. Since this is just a variation of the Milgram experiment, I wonder how many people stomped on Jesus. How many of them were Christians?

    1. Reportedly everyone stomped except the one student who complained. Who was, by the way, a Mormon.

  3. Jesus will survive this 1st-amendment-protected exercise of "free stomp".

    Incidentally, this on the instructor's page made me chuckle:

    "Areas of Specialization: Intercultural Communication, Leadership and Communication, Political Communication"

    To paraphrase Tricky Dick,

    "If an Instructor specializing in Intercultural Communication does it, it's not idiotic."

    1. Fatzers, someday you'll introduce yourself and I'll buy you a beer.

  4. *blushes*

    Schweppes Bitter Lemon for me ;)

- - -
Mn2Pd8Pt | PBE | optimized geometry

DFT total energy	-6.073	eV per atom
theoretical density	11.122	g cm⁻³
DOS(E_F)	14.77	states/eV per cell
ΔH_f (0 K)	-80	meV/atom
space group	Immm

a = 4.1475 Å, b = 6.9572 Å, c = 7.2247 Å
α = 118.78°, β = 106.68°, γ = 90.00°
Closest atoms and distances in Å follow each position.
Fractional positions:
Mn: 0.8065 0.3065 0.6130  10 Pd 2.62-2.77
Mn: 0.1935 0.6935 0.3870  10 Pd 2.62-2.77
Pd: 0.3440 0.1241 0.6879  3 Mn 2.62-2.65, 1 Pt 2.70, 5 Pd 2.74-2.85
Pt: 0.5000 0.0000 0.0000  12 Pd 2.70-2.95
Pd: 0.6560 0.4362 0.3121  3 Mn 2.62-2.65, 1 Pt 2.70, 5 Pd 2.74-2.85
Pd: 0.6560 0.8759 0.3121  3 Mn 2.62-2.65, 1 Pt 2.70, 5 Pd 2.74-2.85
Pd: 0.1535 0.1535 0.3071  8 Pd 2.74-2.85, 2 Mn 2.77, 2 Pt 2.77
Pd: 0.0000 0.6986 0.0000  2 Mn 2.70, 7 Pd 2.76-2.79, 2 Pt 2.95
Pd: 0.0000 0.3014 0.0000  2 Mn 2.70, 7 Pd 2.76-2.79, 2 Pt 2.95
Pd: 0.3440 0.5638 0.6879  3 Mn 2.62-2.65, 1 Pt 2.70, 5 Pd 2.74-2.85
Pd: 0.8465 0.8465 0.6929  8 Pd 2.74-2.85, 2 Mn 2.77, 2 Pt 2.77

=====

Mn3Pd2Pt3 | PBE | optimized geometry

DFT total energy	-7.301	eV per atom
theoretical density	13.183	g cm⁻³
DOS(E_F)	5.52	states/eV per cell
ΔH_f (0 K)	-299	meV/atom
space group	Immm

a = 3.6878 Å, b = 4.0722 Å, c = 8.5309 Å
α = 103.81°, β = 102.48°, γ = 90.00°
Closest atoms and distances in Å follow each position.
Fractional positions:
Mn: 0.8712 0.8712 0.7424  4 Pd 2.65-2.87, 6 Pt 2.75-2.78, 2 Mn 2.91
Pd: 0.2536 0.7536 0.5073  4 Mn 2.65-2.87, 4 Pd 2.75, 4 Pt 2.81-2.86
Pt: 0.3776 0.3776 0.7552  6 Mn 2.70-2.75, 4 Pd 2.81-2.86, 2 Pt 2.84
Mn: 0.1288 0.1288 0.2576  4 Pd 2.65-2.87, 6 Pt 2.75-2.78, 2 Mn 2.91
Pt: 0.6224 0.6224 0.2448  6 Mn 2.70-2.75, 4 Pd 2.81-2.86, 2 Pt 2.84
Pd: 0.7464 0.2464 0.4927  4 Mn 2.65-2.87, 4 Pd 2.75, 4 Pt 2.81-2.86
Mn: 0.0000 0.5000 0.0000  8 Pt 2.70-2.75, 4 Mn 2.91
Pt: 0.5000 0.0000 0.0000  8 Mn 2.75-2.78, 4 Pt 2.84

=====

MnPd12Pt7 | PBE | optimized geometry

DFT total energy	-5.693	eV per atom
theoretical density	14.256	g cm⁻³
DOS(E_F)	41.04	states/eV per cell
ΔH_f (0 K)	-5	meV/atom
space group	R-3m

a = 6.9867 Å, b = 6.9867 Å, c = 6.9867 Å
α = 102.14°, β = 102.14°, γ = 102.14°
Closest atoms and distances in Å follow each position.
Fractional positions:
Pd: 0.4998 0.2404 0.7595  5 Pt 2.69-2.91, 6 Pd 2.75-2.85
Pd: 0.6677 0.6673 0.9218  6 Pd 2.75-2.85, 1 Mn 2.78, 4 Pt 2.82-2.95
Pt: 0.3175 0.9049 0.9045  3 Pt 2.54-2.71, 1 Mn 2.62, 2 Pd 2.69
Pd: 0.3327 0.0782 0.3323  6 Pd 2.75-2.85, 1 Mn 2.78, 4 Pt 2.82-2.95
Pd: 0.5002 0.7596 0.2405  5 Pt 2.69-2.91, 6 Pd 2.75-2.85
Pd: 0.2404 0.7595 0.4998  5 Pt 2.69-2.91, 6 Pd 2.75-2.85
Pd: 0.3323 0.3327 0.0782  6 Pd 2.75-2.85, 1 Mn 2.78, 4 Pt 2.82-2.95
Pt: 0.5000 0.5000 0.5000  12 Pd 2.82
Pd: 0.7595 0.4998 0.2404  5 Pt 2.69-2.91, 6 Pd 2.75-2.85
Pd: 0.2405 0.5002 0.7596  5 Pt 2.69-2.91, 6 Pd 2.75-2.85
Pd: 0.6673 0.9218 0.6677  6 Pd 2.75-2.85, 1 Mn 2.78, 4 Pt 2.82-2.95
Mn: 0.0000 0.0000 0.0000  6 Pt 2.62, 6 Pd 2.78
Pt: 0.9045 0.3175 0.9049  3 Pt 2.54-2.71, 1 Mn 2.62, 2 Pd 2.69
- - -

  5. Anthony, you were supposed to keep the historical Nixon site secret until we had time to work on it.

-- Materials data that have nothing to do with the piece --
# PmPrGaBr

Crystalline PmPrGaBr at its relaxed geometry (PBE, the Alexandria database).

Cell lengths 5.327, 5.327, 5.327 Å; angles 60.00, 60.00, 60.00 degrees
Fractional positions:
1 Pr 0.500 0.500 0.500
2 Pm 0.000 0.000 0.000
3 Br 0.250 0.250 0.250
4 Ga 0.750 0.750 0.750

Computed properties:
raw total energy = -4.237 eV per atom
magnetic moment = 0.0000 μB per atom
DOS at the Fermi energy = 3.1 states/eV per cell
E_form (uncorrected) = -680 meV/atom
ρ = 6.8 g cm⁻³

=====

# 1
# Si2IrAu | Alexandria via LeMat-Bulk | SCAN | PBEsol geometry
# Total magnetic moment   0.00 μB per cell
# Energy relative to the lowest polymorph listed for this composition   178 meV/atom
# Fermi-level density of states   6.98 states/eV/cell
# VASP energy   -40.161 eV/atom
# ΔE_f (raw)   -0.4 eV per formula unit
data_Si2IrAu
_chemical_formula_sum 'Si8 Ir4 Au4'
_cell_length_a 5.5486
_cell_length_b 5.5486
_cell_length_c 10.3777
_cell_angle_alpha 90.00
_cell_angle_beta 90.00
_cell_angle_gamma 90.00
_symmetry_space_group_name_H-M 'I -4 2 d'
_symmetry_Int_Tables_number 122
_symmetry_space_group_name_Hall 'I -4 2bw'
loop_
_atom_site_label
_atom_site_fract_x
_atom_site_fract_y
_atom_site_fract_z
Si1 0.2281 0.2500 0.1250
Ir1 0.0000 0.0000 0.0000
Au1 0.0000 0.0000 0.5000

# 2
# Mg3Cu5 | Alexandria via LeMat-Bulk | SCAN | PBEsol geometry
# Total magnetic moment   0.00 μB per cell
# Energy relative to the lowest polymorph listed for this composition   0 meV/atom
# Fermi-level density of states   2.51 states/eV/cell
# VASP energy   -11.446 eV/atom
data_Mg3Cu5
_chemical_formula_sum 'Mg3 Cu5'
_cell_length_a 3.0615
_cell_length_b 3.0615
_cell_length_c 11.8217
_cell_angle_alpha 90.00
_cell_angle_beta 90.00
_cell_angle_gamma 90.00
_symmetry_space_group_name_H-M 'P 4/m m m'
_symmetry_Int_Tables_number 123
_symmetry_space_group_name_Hall '-P 4 2'
loop_
_atom_site_label
_atom_site_fract_x
_atom_site_fract_y
_atom_site_fract_z
Mg1 0.0000 0.0000 0.0000
Mg2 0.5000 0.5000 0.3673
Cu1 0.0000 0.0000 0.2345
Cu2 0.0000 0.0000 0.5000
Cu3 0.5000 0.5000 0.1331

# 3
# FeHg2Ir | Alexandria via LeMat-Bulk | SCAN | PBEsol geometry
# Total magnetic moment   6.17 μB per cell
# Energy relative to the lowest polymorph listed for this composition   267 meV/atom
# Fermi-level density of states   4.50 states/eV/cell
# VASP energy   -55.884 eV/atom
data_FeHg2Ir
_chemical_formula_sum 'Fe2 Hg4 Ir2'
_cell_length_a 5.6202
_cell_length_b 7.8297
_cell_length_c 2.9796
_cell_angle_alpha 90.00
_cell_angle_beta 90.00
_cell_angle_gamma 90.00
_symmetry_space_group_name_H-M 'C m m m'
_symmetry_Int_Tables_number 65
_symmetry_space_group_name_Hall '-C 2 2'
loop_
_atom_site_label
_atom_site_fract_x
_atom_site_fract_y
_atom_site_fract_z
Fe1 0.0000 0.0000 0.0000
Hg1 0.2500 0.2500 0.5000
Ir1 0.0000 0.5000 0.0000

# 4
# LiCoPO4 | Alexandria via LeMat-Bulk | SCAN | PBEsol geometry
# Total magnetic moment   9.00 μB per cell
# Energy relative to the lowest polymorph listed for this composition   93 meV/atom

    1. I still can't believe that you're in the Nixon mythicist camp.

    2. I think I could be persuaded that someone made up Spiro Agnew.

  6. I was all excited to comment on "The Jesus Stomp" until I read your piece and found out it was not about Bill O'Reilly's upcoming book.
